Chapter Three

Again? Really?

She lifted her gaze and flashed a smile that she knew must’ve held a bit of disbelief.

“I’m good, thanks.” She gave a slight laugh. “We seem to keep running into each other.”

Eric adjusted his grocery basket in his hand and nodded. He looked a bit surprised too.

“Yeah. It’s kind of weird, honestly. I hadn’t seen you in months, and now it’s what, twice within a week?”

The tension that had coiled around her muscles eased.

“Yeah.” She glanced around. “You just getting off of work?”

She remembered him saying he worked nearby, which she assumed was why he was shopping at a store in her neighborhood.

He certainly appeared to have just gotten off work, with his slacks and dark-gray button-up shirt.

It was becoming less common to see people dressed even business casual for their jobs anymore. Seattle had become so casual. But she had to admit, there was something kind of hot about a guy all spruced up. Eric looked good.

“Yeah, I had a short day at the bank.” He gave a lazy smile. “Just grabbing some hard cider before I head home. How about you? Done with school for the week?”

Something warm shifted inside her at that smile, and she blinked in surprise.

She shook her head, trying to clear it from whatever weird thought had tried to take hold. This was what months of abstinence did to you. Made you hot and bothered for any guy who appeared to have showered recently and had a good smile.

“No? You still have school stuff?” Confusion laced his question.

Darn, she’d been shaking her head. “Sorry? Yes. I mean...” What was the question again?

Feeling uncharacteristically frazzled, she rewound the conversation in her head. School. Right.

“No, I’m done for the week. Just wrapped up conferences about a half hour ago.” She tucked a strand of hair behind her ear. “I am so beyond ready for a glass of wine and binge watching one of my shows.”

His gaze narrowed a bit, seeming to see way more than she wanted him to.

“Yeah, I bet. Well, I’ll let you get to it.” He gave a short nod. “Good seeing you again, Hannah.”

“You too.” She pushed the cart past him, feeling a weird heat steal up into her face.

Suddenly she wasn’t in the mood to grocery shop. She glanced at her cart, with only a couple of things in it so far, and mentally ran through the list of food she still needed.

She was lost in thought when she spotted him.

He’d just turned down the aisle and was picking a bottle of wine when his gaze slid her way.

A sharp stab of unease hit as Stoddard Wentworth’s gaze connected with hers.

What kind of coincidence would put him here right now?

# Next to the text, the page also holds calculated molecules
~~~
C40H53AsBrN5PbSi | ωB97M-V/def2-TZVPD

The LUMO energy (alpha / beta) is 4.077 / 4.077 eV. The frontier orbital gap (alpha / beta) is 3.88 / 3.55 eV. As for the energy above the lowest of the compared OMol25 structures with the same formula, charge and spin: 35.77 kJ/mol. Its energy is -193796.584 eV. The net charge is -2. The calculation puts the highest occupied orbital energy (alpha / beta) at 0.19 / 0.53 eV.

```
102
C40H53AsBrN5PbSi (ωB97M-V/def2-TZVPD)
Pb -1.000 -0.481 0.859
C -1.664 -4.994 1.365
C -0.410 -5.624 1.234
C 0.713 -4.859 1.204
C 0.644 -3.428 1.326
N -0.601 -2.847 1.408
C -1.675 -3.622 1.419
N 1.782 -2.790 1.418
C 2.032 -1.475 1.494
N 1.254 -0.392 1.180
C 1.990 0.754 1.322
N 1.684 2.035 1.099
C 0.526 2.617 0.928
C 0.571 4.045 0.778
C -0.568 4.784 0.762
C -1.813 4.132 0.888
C -1.795 2.758 0.975
N -0.705 2.007 0.989
C 3.284 0.412 1.801
C 4.376 1.175 2.220
C 5.450 0.539 2.797
C 5.464 -0.863 2.945
C 4.414 -1.632 2.501
C 3.305 -1.010 1.929
H -2.580 -5.564 1.397
H -0.359 -6.707 1.138
H 1.693 -5.296 1.078
H -2.623 -3.090 1.479
H 1.548 4.499 0.713
H -0.538 5.868 0.677
H -2.738 4.695 0.917
H -2.733 2.214 1.080
H 4.348 2.251 2.100
H 6.300 1.110 3.166
H 6.318 -1.328 3.432
H 4.412 -2.707 2.613
C -1.814 3.464 -3.362
As -1.404 1.641 -2.544
C -1.674 0.733 -4.281
C -3.270 1.465 -1.928
H -2.707 3.458 -3.989
H -0.973 3.802 -3.968
H -1.954 4.194 -2.563
H -2.658 0.982 -4.679
H -1.600 -0.345 -4.174
H -0.924 1.056 -5.002
H -3.943 1.446 -2.786
H -3.534 2.315 -1.301
H -3.416 0.556 -1.349
C -1.057 -0.805 -1.450
C -1.437 -1.941 -2.119
C -0.516 -2.999 -2.402
C -0.853 -4.045 -3.219
C -2.119 -4.150 -3.794
C -3.059 -3.176 -3.483
C -2.741 -2.111 -2.682
H 0.463 -2.956 -1.946
H -0.122 -4.824 -3.411
H -2.371 -4.983 -4.439
H -4.068 -3.258 -3.881
H -3.498 -1.375 -2.450
C 5.050 -2.151 -4.644
C 3.765 -1.674 -3.961
C 2.617 -1.839 -4.959
C 3.458 -2.622 -2.799
Si 3.850 0.176 -3.325
Br 2.002 0.475 -2.060
C 3.642 1.497 -4.771
C 4.572 1.249 -5.963
C 3.925 2.904 -4.242
C 2.199 1.537 -5.281
C 5.400 0.540 -2.185
C 5.701 -0.650 -1.271
C 6.674 0.838 -2.986
C 5.106 1.716 -1.250
H 4.925 -3.181 -4.984
H 5.894 -2.130 -3.960
H 5.294 -1.537 -5.508
H 2.487 -2.895 -5.200
H 2.818 -1.311 -5.888
H 1.683 -1.480 -4.536
H 3.266 -3.623 -3.190
H 2.576 -2.303 -2.255
H 4.278 -2.693 -2.095
H 5.612 1.219 -5.650
H 4.461 2.053 -6.694
H 4.337 0.313 -6.463
H 4.965 3.022 -3.953
H 3.287 3.124 -3.391
H 3.709 3.636 -5.021
H 1.896 0.607 -5.746
H 2.108 2.328 -6.028
H 1.509 1.749 -4.468
H 6.058 -1.508 -1.836
H 4.824 -0.930 -0.696
H 6.479 -0.370 -0.560
H 6.904 0.028 -3.674
H 7.519 0.952 -2.305
H 6.585 1.758 -3.558
H 4.264 1.490 -0.603
H 4.886 2.632 -1.787
H 5.972 1.896 -0.612
```

C8H15ClNO4 | ωB97M-V/def2-TZVPD

The LUMO energy is -3.020 eV. The frontier orbital gap is 9.77 eV. Its energy is -30731.402 eV. The net charge is +1. The calculation puts the highest occupied orbital energy at -12.79 eV.

```
29
C8H15ClNO4 (ωB97M-V/def2-TZVPD)
C -0.283 -0.453 -0.297
C -2.014 -0.181 0.674
C -4.490 1.714 0.360
~~~

Memories of the awful parent-teacher conference with the man still lingered in her mind.

**Misplaced molecular data**
'''
No. 1
Below is a molecular structure, C6H17Li2NO2 in a non-equilibrium geometry, with properties calculated with wB97M-V/def2-TZVPD.

The geometry in XYZ format:
```
28
Properties=species:S:1:pos:R:3:forces:R:3:nbo_charge:R:1
Li 1.541348 -3.152875 1.934941 -0.5 1.3 -0.8 0.9600
Li 0.577168 -1.213575 0.534051 0.4 -0.4 0.5 0.9026
O 0.407408 -3.056125 0.317431 0.1 -0.6 0.3 -1.4018
H -0.059222 -3.765235 -0.166259 0.5 0.9 0.5 0.4601
O 1.719908 -1.117665 2.185031 0.0 -0.9 0.2 -1.3998
H 2.150078 -0.720615 2.967231 -0.5 -0.3 -0.9 0.4554
C -0.868412 -0.623935 -2.394589 0.4 0.2 -1.6 -0.6282
C -1.387502 0.213375 -1.262739 0.4 -0.4 0.5 -0.2285
N -0.247172 0.470465 -0.331229 -0.7 0.6 -0.7 -0.5006
C -0.687832 0.986135 0.995201 0.1 -0.2 0.8 -0.2451
C -1.712502 0.108915 1.780291 0.9 -0.2 -0.9 -0.6212
C 0.734658 1.367275 -1.026209 1.1 0.7 0.6 -0.2353
C 2.040898 1.537465 -0.247489 0.1 -0.6 0.8 -0.6283
H -1.597282 -0.856885 -3.170849 -0.6 -0.5 0.6 0.2165
H -0.366682 -1.503865 -1.991989 -0.3 -0.2 -0.2 0.2318
H -0.164302 -0.128395 -3.062999 0.4 0.3 0.5 0.2004
H -1.884672 1.138585 -1.554139 0.1 0.3 -0.2 0.1772
H -2.158582 -0.400765 -0.797579 0.1 0.1 0.5 0.2050
H 0.203728 1.023325 1.621161 0.1 0.0 -0.1 0.2267
H -1.092812 1.998035 1.007251 0.0 0.3 -0.6 0.1751
H -1.695552 0.395105 2.831911 -0.3 0.4 -0.2 0.2261
H -2.705992 0.134575 1.332611 0.0 0.2 0.3 0.2030
H -1.388252 -0.931435 1.805351 0.0 -0.2 -0.2 0.2156
H 0.385288 2.377435 -1.239799 -0.9 0.2 0.3 0.1737
H 1.070078 1.079565 -2.022609 -0.6 -1.0 0.2 0.2112
H 2.894358 1.872185 -0.837139 -0.3 0.2 -0.3 0.2149
H 2.338978 0.577165 0.173311 0.1 -0.2 0.0 0.2299
H 1.952878 2.191765 0.619831 -0.1 0.2 -0.1 0.2036
```
Forces are in eV/Å.

Results
* energy relative to the best compared isomer or geometry (same formula, charge and spin): 0.6872 eV
* lowest unoccupied orbital energy: 0.10 eV
* orbital gap: 8.70 eV
* HOMO level: -8.60 eV

No. 2
Below is 2 unconnected molecules or ions with the total composition C6H17N2 in a non-equilibrium geometry, with properties calculated with wB97M-V/def2-TZVPD.

The geometry in XYZ format:
```
25
Properties=species:S:1:pos:R:3:forces:R:3:nbo_charge:R:1
C 0.397453 -1.317380 1.157645 0.2 0.8 0.3 -0.2464
N 1.659584 -0.973217 0.499758 -2.4 0.7 -0.1 -0.4256
C 2.192649 0.327973 0.865233 1.5 -0.2 -0.6 -0.2455
C 3.339743 0.600578 -0.126701 -0.8 0.6 0.2 -0.6150
C -0.783040 -0.763685 0.308741 0.6 0.0 0.8 -0.1663
N -0.390677 0.390550 -0.325484 0.0 -1.5 -0.9 -0.1625
C -3.317984 -0.529450 0.048442 -0.2 -0.3 1.4 -0.6388
C -2.149460 -0.722251 1.053377 -0.7 1.1 -1.9 -0.3808
H 0.196853 -2.372965 1.341756 0.5 0.1 0.1 0.2370
H 0.361647 -0.717919 2.072543 -0.1 -0.5 0.3 0.2228
H 1.365850 -0.902798 -0.483339 1.1 -0.4 -0.3 0.3720
H 1.431271 1.140015 0.808578 -0.2 -0.3 0.0 0.2246
H 2.601661 0.385342 1.880472 -0.4 -0.5 0.0 0.2326
H 2.936557 0.737373 -1.127895 -0.1 0.0 -0.2 0.2067
H 4.008814 -0.252691 -0.166328 0.3 0.2 0.2 0.2355
H 3.820299 1.544774 0.135148 0.3 -0.3 0.0 0.2363
'''
**Here the entry continues**

God, she’d really hoped not to have to deal with this jerk again anytime soon.

“Miss Jeong.” He approached and gave a brief smile. “How nice to see you here.”

She couldn’t even muster a smile. “Yes. You too.”